_Exercise_
What is needed: return everything further below word for word.

_Excerpt_
=====
GGA+U Na3Li6Mn5O9, optimized geometry; space group = No. 1; total moment = 24.5 Bohr magnetons per cell; raw total energy = -0.2119 hartree per atom
1.0
5.9001 0.0000 0.0000
-2.9179 5.1288 0.0000
-1.0079 -1.7322 9.0382
Na Li Mn O
3 6 5 9
Direct
0.0000 0.0000 0.0000
0.3209 0.6796 0.9999
0.6782 0.3575 0.0057
0.0927 0.7720 0.2480
0.1444 0.5042 0.4281
0.2371 0.1882 0.5095
0.5094 0.9155 0.5102
0.8144 0.4934 0.5423
0.8252 0.8234 0.4281
0.2696 0.9492 0.7357
0.4169 0.4169 0.2502
0.5672 0.5785 0.7375
0.7374 0.0963 0.2505
0.8999 0.2466 0.7376
0.0651 0.4179 0.1989
0.1388 0.8178 0.4958
0.2681 0.2923 0.8310
0.3816 0.0608 0.1691
0.5039 0.5534 0.4910
0.6128 0.9469 0.8302
0.7387 0.7446 0.1988
0.8744 0.1829 0.4911
0.9446 0.6237 0.8016

----------

VASP calculation (GGA-PBE) on a relaxed structure of SbOsCl2.

Cell: 4.6373 3.0915 7.4787 Å, 90.00 107.69 90.00°
Closest atoms and distances in Å follow each position.
Atoms (fractional coordinates):
Sb 0.0000 0.0000 0.0000  4 Os 2.93, 2 Sb 3.09, 4 Cl 3.14
Os 0.5621 0.5000 0.1275  3 Cl 2.35-2.36
Cl 0.4002 0.5000 0.7959  1 Os 2.36
Cl 0.6836 0.0000 0.3759  2 Os 2.35

Calculated values
Its symmetry is No. 6. For the total energy, the calculation gives -4.60 eV/atom. For the uncorrected formation energy, the calculation gives 164 meV/atom.

---

VASP calculation (GGA-PBE) on a relaxed structure of AlAgRu.

Cell: 2.8643 2.8643 6.5668 Å, 90.00 90.00 120.00°
Closest atoms and distances in Å follow each position.
Atoms (fractional coordinates):
Al 0.0000 0.0000 0.0000  3 Ru 2.51, 3 Ag 2.80
Ag 0.3333 0.6667 0.6551  3 Al 2.80, 6 Ag 2.86, 3 Ru 2.93
Ru 0.6667 0.3333 0.2876  3 Al 2.51

Calculated values
Its symmetry is No. 156. The energy of formation is 4 kJ/mol of formula units. For the total energy, the calculation gives -5.28 eV/atom.

---

VASP calculation (GGA-PBE) on a relaxed structure of Li2MgAu6.

Cell: 8.6660 8.6660 4.0786 Å, 90.00 90.00 90.00°
Closest atoms and distances in Å follow each position.
Atoms (fractional coordinates):
Li 0.1864 0.1864 0.0000  10 Au 2.79-2.95, 2 Mg 3.06
Li 0.3136 0.6864 0.5000  10 Au 2.79-2.95, 2 Mg 3.06
Li 0.6864 0.3136 0.5000  10 Au 2.79-2.95, 2 Mg 3.06
Li 0.8136 0.8136 0.0000  10 Au 2.79-2.95, 2 Mg 3.06
Mg 0.0000 0.0000 0.5000  8 Au 2.77-2.82, 4 Li 3.06
Mg 0.5000 0.5000 0.0000  8 Au 2.77-2.82, 4 Li 3.06
Au 0.0087 0.3252 0.5000  3 Li 2.79-2.82, 1 Mg 2.82, 8 Au 2.89-3.03
Au 0.1525 0.8475 0.0000  2 Mg 2.77, 4 Li 2.84-2.95, 6 Au 2.89-2.94
Au 0.1748 0.5087 0.0000  3 Li 2.79-2.82, 1 Mg 2.82, 8 Au 2.89-3.03
Au 0.3252 0.0087 0.5000  3 Li 2.79-2.82, 1 Mg 2.82, 8 Au 2.89-3.03
Au 0.3475 0.3475 0.5000  2 Mg 2.77, 4 Li 2.84-2.95, 6 Au 2.89-2.94
Au 0.4913 0.8252 0.0000  3 Li 2.79-2.82, 1 Mg 2.82, 8 Au 2.89-3.03
Au 0.5087 0.1748 0.0000  3 Li 2.79-2.82, 1 Mg 2.82, 8 Au 2.89-3.03
Au 0.6525 0.6525 0.5000  2 Mg 2.77, 4 Li 2.84-2.95, 6 Au 2.89-2.94
Au 0.6748 0.9913 0.5000  3 Li 2.79-2.82, 1 Mg 2.82, 8 Au 2.89-3.03
Au 0.8252 0.4913 0.0000  3 Li 2.79-2.82, 1 Mg 2.82, 8 Au 2.89-3.03
Au 0.8475 0.1525 0.0000  2 Mg 2.77, 4 Li 2.84-2.95, 6 Au 2.89-2.94
Au 0.9913 0.6748 0.5000  3 Li 2.79-2.82, 1 Mg 2.82, 8 Au 2.89-3.03

Calculated values
Its symmetry is No. 136. The energy of formation is -363 kJ/mol of formula units. For the total energy, the calculation gives -3.20 eV/atom.

---

Q: Among the records above, which one has the highest total energy?
A: Li2MgAu6

----------

(1)
Nd2Sb3Rh5 | PBE | optimized geometry

a = 4.4178 Å, b = 7.1199 Å, c = 13.1096 Å
α = 90.00°, β = 99.70°, γ = 90.00°
Fractional positions:
Sb 0.2229 0.1967 0.4458
Sb 0.6109 0.5049 0.2217
Sb 0.9453 0.4896 0.8906
Sb 0.7771 0.6967 0.5542
Sb 0.0547 0.9896 0.1094
Sb 0.3891 0.0049 0.7783
Rh 0.7195 0.9982 0.4389
Rh 0.2805 0.4982 0.5611
Rh 0.2918 0.9086 0.5836
Rh 0.1242 0.2754 0.2484
Rh 0.0556 0.6096 0.1112
Rh 0.7082 0.4086 0.4164
Rh 0.5996 0.8759 0.1992
Rh 0.8758 0.7754 0.7516
Rh 0.9444 0.1096 0.8888
Rh 0.4004 0.3759 0.8008
Nd 0.8236 0.2420 0.6472
Nd 0.1764 0.7420 0.3528
Nd 0.4869 0.7639 0.9738
Nd 0.5131 0.2639 0.0262
=====

_Written answer_
GGA+U Na3Li6Mn5O9, optimized geometry; space group = No. 1; total moment = 24.5 Bohr magnetons per cell; raw total energy = -0.2119 hartree per atom
1.0
5.9001 0.0000 0.0000
-2.9179 5.1288 0.0000
-1.0079 -1.7322 9.0382
Na Li Mn O
3 6 5 9
Direct
0.0000 0.0000 0.0000
0.3209 0.6796 0.9999
0.6782 0.3575 0.0057
0.0927 0.7720 0.2480
0.1444 0.5042 0.4281
0.2371 0.1882 0.5095
0.5094 0.9155 0.5102
0.8144 0.4934 0.5423
0.8252 0.8234 0.4281
0.2696 0.9492 0.7357
0.4169 0.4169 0.2502
0.5672 0.5785 0.7375
0.7374 0.0963 0.2505
0.8999 0.2466 0.7376
0.0651 0.4179 0.1989
0.1388 0.8178 0.4958
0.2681 0.2923 0.8310
0.3816 0.0608 0.1691
0.5039 0.5534 0.4910
0.6128 0.9469 0.8302
0.7387 0.7446 0.1988
0.8744 0.1829 0.4911
0.9446 0.6237 0.8016

----------

VASP calculation (GGA-PBE) on a relaxed structure of SbOsCl2.

Cell: 4.6373 3.0915 7.4787 Å, 90.00 107.69 90.00°
Closest atoms and distances in Å follow each position.
Atoms (fractional coordinates):
Sb 0.0000 0.0000 0.0000  4 Os 2.93, 2 Sb 3.09, 4 Cl 3.14
Os 0.5621 0.5000 0.1275  3 Cl 2.35-2.36
Cl 0.4002 0.5000 0.7959  1 Os 2.36
Cl 0.6836 0.0000 0.3759  2 Os 2.35

Calculated values
Its symmetry is No. 6. For the total energy, the calculation gives -4.60 eV/atom. For the uncorrected formation energy, the calculation gives 164 meV/atom.

---

VASP calculation (GGA-PBE) on a relaxed structure of AlAgRu.

Cell: 2.8643 2.8643 6.5668 Å, 90.00 90.00 120.00°
Closest atoms and distances in Å follow each position.
Atoms (fractional coordinates):
Al 0.0000 0.0000 0.0000  3 Ru 2.51, 3 Ag 2.80
Ag 0.3333 0.6667 0.6551  3 Al 2.80, 6 Ag 2.86, 3 Ru 2.93
Ru 0.6667 0.3333 0.2876  3 Al 2.51

Calculated values
Its symmetry is No. 156. The energy of formation is 4 kJ/mol of formula units. For the total energy, the calculation gives -5.28 eV/atom.

---

VASP calculation (GGA-PBE) on a relaxed structure of Li2MgAu6.

Cell: 8.6660 8.6660 4.0786 Å, 90.00 90.00 90.00°
Closest atoms and distances in Å follow each position.
Atoms (fractional coordinates):
Li 0.1864 0.1864 0.0000  10 Au 2.79-2.95, 2 Mg 3.06
Li 0.3136 0.6864 0.5000  10 Au 2.79-2.95, 2 Mg 3.06
Li 0.6864 0.3136 0.5000  10 Au 2.79-2.95, 2 Mg 3.06
Li 0.8136 0.8136 0.0000  10 Au 2.79-2.95, 2 Mg 3.06
Mg 0.0000 0.0000 0.5000  8 Au 2.77-2.82, 4 Li 3.06
Mg 0.5000 0.5000 0.0000  8 Au 2.77-2.82, 4 Li 3.06
Au 0.0087 0.3252 0.5000  3 Li 2.79-2.82, 1 Mg 2.82, 8 Au 2.89-3.03
Au 0.1525 0.8475 0.0000  2 Mg 2.77, 4 Li 2.84-2.95, 6 Au 2.89-2.94
Au 0.1748 0.5087 0.0000  3 Li 2.79-2.82, 1 Mg 2.82, 8 Au 2.89-3.03
Au 0.3252 0.0087 0.5000  3 Li 2.79-2.82, 1 Mg 2.82, 8 Au 2.89-3.03
Au 0.3475 0.3475 0.5000  2 Mg 2.77, 4 Li 2.84-2.95, 6 Au 2.89-2.94
Au 0.4913 0.8252 0.0000  3 Li 2.79-2.82, 1 Mg 2.82, 8 Au 2.89-3.03
Au 0.5087 0.1748 0.0000  3 Li 2.79-2.82, 1 Mg 2.82, 8 Au 2.89-3.03
Au 0.6525 0.6525 0.5000  2 Mg 2.77, 4 Li 2.84-2.95, 6 Au 2.89-2.94
Au 0.6748 0.9913 0.5000  3 Li 2.79-2.82, 1 Mg 2.82, 8 Au 2.89-3.03
Au 0.8252 0.4913 0.0000  3 Li 2.79-2.82, 1 Mg 2.82, 8 Au 2.89-3.03
Au 0.8475 0.1525 0.0000  2 Mg 2.77, 4 Li 2.84-2.95, 6 Au 2.89-2.94
Au 0.9913 0.6748 0.5000  3 Li 2.79-2.82, 1 Mg 2.82, 8 Au 2.89-3.03

Calculated values
Its symmetry is No. 136. The energy of formation is -363 kJ/mol of formula units. For the total energy, the calculation gives -3.20 eV/atom.

---

Q: Among the records above, which one has the highest total energy?
A: Li2MgAu6

----------

(1)
Nd2Sb3Rh5 | PBE | optimized geometry

a = 4.4178 Å, b = 7.1199 Å, c = 13.1096 Å
α = 90.00°, β = 99.70°, γ = 90.00°
Fractional positions:
Sb 0.2229 0.1967 0.4458
Sb 0.6109 0.5049 0.2217
Sb 0.9453 0.4896 0.8906
Sb 0.7771 0.6967 0.5542
Sb 0.0547 0.9896 0.1094
Sb 0.3891 0.0049 0.7783
Rh 0.7195 0.9982 0.4389
Rh 0.2805 0.4982 0.5611
Rh 0.2918 0.9086 0.5836
Rh 0.1242 0.2754 0.2484
Rh 0.0556 0.6096 0.1112
Rh 0.7082 0.4086 0.4164
Rh 0.5996 0.8759 0.1992
Rh 0.8758 0.7754 0.7516
Rh 0.9444 0.1096 0.8888
Rh 0.4004 0.3759 0.8008
Nd 0.8236 0.2420 0.6472
Nd 0.1764 0.7420 0.3528
Nd 0.4869 0.7639 0.9738
Nd 0.5131 0.2639 0.0262